Now reproduce all of the lines underneath character by character.

Here is a relaxed structure of Ti9Fe11O30 from the Materials Project database. Energies are from GGA+U.

Unit cell a=7.606 b=8.915 c=9.191 alpha=81.01 beta=72.18 gamma=66.92
Space group P1 (No. 1)
One atom of each set of equivalent atoms:
Ti: 0.000 0.000 0.000 [1 per cell]
Ti: 0.074 0.316 0.944 [1 per cell]
Ti: 0.195 0.408 0.195 [1 per cell]
Ti: 0.393 0.803 0.396 [1 per cell]
Ti: 0.470 0.120 0.343 [1 per cell]
Ti: 0.597 0.205 0.599 [1 per cell]
Ti: 0.677 0.522 0.546 [1 per cell]
Ti: 0.794 0.603 0.800 [1 per cell]
Ti: 0.873 0.921 0.749 [1 per cell]
Fe: 0.097 0.199 0.595 [1 per cell]
Fe: 0.170 0.522 0.550 [1 per cell]
Fe: 0.275 0.721 0.146 [1 per cell]
Fe: 0.297 0.603 0.801 [1 per cell]
Fe: 0.372 0.919 0.747 [1 per cell]
Fe: 0.494 0.004 0.995 [1 per cell]
Fe: 0.571 0.319 0.950 [1 per cell]
Fe: 0.693 0.405 0.197 [1 per cell]
Fe: 0.770 0.722 0.149 [1 per cell]
Fe: 0.894 0.809 0.396 [1 per cell]
Fe: 0.972 0.122 0.345 [1 per cell]
O: 0.100 0.489 0.793 [1 per cell]
O: 0.107 0.845 0.809 [1 per cell]
O: 0.121 0.151 0.822 [1 per cell]
O: 0.147 0.569 0.335 [1 per cell]
O: 0.158 0.878 0.338 [1 per cell]
O: 0.176 0.234 0.341 [1 per cell]
O: 0.294 0.895 0.992 [1 per cell]
O: 0.310 0.248 0.007 [1 per cell]
O: 0.321 0.541 0.027 [1 per cell]
O: 0.350 0.975 0.521 [1 per cell]
O: 0.354 0.285 0.537 [1 per cell]
O: 0.364 0.628 0.543 [1 per cell]
O: 0.503 0.289 0.198 [1 per cell]
O: 0.517 0.655 0.214 [1 per cell]
O: 0.519 0.951 0.224 [1 per cell]
O: 0.549 0.374 0.724 [1 per cell]
O: 0.564 0.669 0.733 [1 per cell]
O: 0.572 0.035 0.739 [1 per cell]
O: 0.694 0.693 0.408 [1 per cell]
O: 0.702 0.053 0.412 [1 per cell]
O: 0.725 0.348 0.426 [1 per cell]
O: 0.745 0.776 0.917 [1 per cell]
O: 0.766 0.070 0.931 [1 per cell]
O: 0.772 0.432 0.943 [1 per cell]
O: 0.897 0.093 0.602 [1 per cell]
O: 0.914 0.453 0.606 [1 per cell]
O: 0.931 0.744 0.623 [1 per cell]
O: 0.949 0.174 0.117 [1 per cell]
O: 0.962 0.470 0.134 [1 per cell]
O: 0.966 0.831 0.143 [1 per cell]

* energy above the lowest structure with this stoichiometry: 34 meV/atom
* crystal system: triclinic



Here is a relaxed structure of NaCoH3C3O6 from the Materials Project database. Energies are from GGA+U.

Unit cell a=12.873 b=9.113 c=9.072 alpha=90.00 beta=134.53 gamma=90.00
Space group C2 (No. 5)
One atom of each set of equivalent atoms:
Na: 0.089 0.000 0.433 [4 per cell]
Co: 0.091 0.318 0.252 [4 per cell]
H: 0.000 0.442 0.500 [2 per cell]
H: 0.000 0.914 0.000 [2 per cell]
H: 0.012 0.670 0.761 [4 per cell]
H: 0.233 0.409 0.967 [4 per cell]
C: 0.000 0.036 0.000 [2 per cell]
C: 0.000 0.320 0.500 [2 per cell]
C: 0.109 0.654 0.360 [4 per cell]
C: 0.238 0.407 0.094 [4 per cell]
O: 0.033 0.255 0.414 [4 per cell]
O: 0.049 0.097 0.163 [4 per cell]
O: 0.121 0.366 0.044 [4 per cell]
O: 0.146 0.944 0.729 [4 per cell]
O: 0.159 0.530 0.370 [4 per cell]
O: 0.184 0.763 0.476 [4 per cell]

* crystal system: monoclinic



Here is a relaxed structure of Li3Fe2P4O14 from the Materials Project database. Energies are from GGA+U.

Unit cell a=9.841 b=9.852 c=11.226 alpha=90.01 beta=102.25 gamma=90.12
Space group P1 (No. 1)
One atom of each set of equivalent atoms:
Li: 0.000 0.000 0.000 [1 per cell]
Li: 0.002 0.277 0.958 [1 per cell]
Li: 0.010 0.619 0.421 [1 per cell]
Li: 0.189 0.828 0.481 [1 per cell]
Li: 0.251 0.115 0.491 [1 per cell]
Li: 0.416 0.631 0.895 [1 per cell]
Li: 0.484 0.947 0.004 [1 per cell]
Li: 0.516 0.339 0.424 [1 per cell]
Li: 0.692 0.122 0.481 [1 per cell]
Li: 0.721 0.507 0.906 [1 per cell]
Li: 0.749 0.817 0.494 [1 per cell]
Li: 0.777 0.806 0.997 [1 per cell]
Fe: 0.308 0.641 0.129 [1 per cell]
Fe: 0.349 0.431 0.627 [1 per cell]
Fe: 0.355 0.933 0.275 [1 per cell]
Fe: 0.397 0.151 0.789 [1 per cell]
Fe: 0.807 0.304 0.134 [1 per cell]
Fe: 0.847 0.503 0.619 [1 per cell]
Fe: 0.856 0.014 0.276 [1 per cell]
Fe: 0.904 0.793 0.776 [1 per cell]
P: 0.040 0.795 0.209 [1 per cell]
P: 0.078 0.274 0.697 [1 per cell]
P: 0.123 0.176 0.208 [1 per cell]
P: 0.162 0.647 0.690 [1 per cell]
P: 0.220 0.436 0.335 [1 per cell]

Here is a relaxed structure of Ti9Fe11O30 from the Materials Project database. Energies are from GGA+U.

Unit cell a=7.606 b=8.915 c=9.191 alpha=81.01 beta=72.18 gamma=66.92
Space group P1 (No. 1)
One atom of each set of equivalent atoms:
Ti: 0.000 0.000 0.000 [1 per cell]
Ti: 0.074 0.316 0.944 [1 per cell]
Ti: 0.195 0.408 0.195 [1 per cell]
Ti: 0.393 0.803 0.396 [1 per cell]
Ti: 0.470 0.120 0.343 [1 per cell]
Ti: 0.597 0.205 0.599 [1 per cell]
Ti: 0.677 0.522 0.546 [1 per cell]
Ti: 0.794 0.603 0.800 [1 per cell]
Ti: 0.873 0.921 0.749 [1 per cell]
Fe: 0.097 0.199 0.595 [1 per cell]
Fe: 0.170 0.522 0.550 [1 per cell]
Fe: 0.275 0.721 0.146 [1 per cell]
Fe: 0.297 0.603 0.801 [1 per cell]
Fe: 0.372 0.919 0.747 [1 per cell]
Fe: 0.494 0.004 0.995 [1 per cell]
Fe: 0.571 0.319 0.950 [1 per cell]
Fe: 0.693 0.405 0.197 [1 per cell]
Fe: 0.770 0.722 0.149 [1 per cell]
Fe: 0.894 0.809 0.396 [1 per cell]
Fe: 0.972 0.122 0.345 [1 per cell]
O: 0.100 0.489 0.793 [1 per cell]
O: 0.107 0.845 0.809 [1 per cell]
O: 0.121 0.151 0.822 [1 per cell]
O: 0.147 0.569 0.335 [1 per cell]
O: 0.158 0.878 0.338 [1 per cell]
O: 0.176 0.234 0.341 [1 per cell]
O: 0.294 0.895 0.992 [1 per cell]
O: 0.310 0.248 0.007 [1 per cell]
O: 0.321 0.541 0.027 [1 per cell]
O: 0.350 0.975 0.521 [1 per cell]
O: 0.354 0.285 0.537 [1 per cell]
O: 0.364 0.628 0.543 [1 per cell]
O: 0.503 0.289 0.198 [1 per cell]
O: 0.517 0.655 0.214 [1 per cell]
O: 0.519 0.951 0.224 [1 per cell]
O: 0.549 0.374 0.724 [1 per cell]
O: 0.564 0.669 0.733 [1 per cell]
O: 0.572 0.035 0.739 [1 per cell]
O: 0.694 0.693 0.408 [1 per cell]
O: 0.702 0.053 0.412 [1 per cell]
O: 0.725 0.348 0.426 [1 per cell]
O: 0.745 0.776 0.917 [1 per cell]
O: 0.766 0.070 0.931 [1 per cell]
O: 0.772 0.432 0.943 [1 per cell]
O: 0.897 0.093 0.602 [1 per cell]
O: 0.914 0.453 0.606 [1 per cell]
O: 0.931 0.744 0.623 [1 per cell]
O: 0.949 0.174 0.117 [1 per cell]
O: 0.962 0.470 0.134 [1 per cell]
O: 0.966 0.831 0.143 [1 per cell]

* energy above the lowest structure with this stoichiometry: 34 meV/atom
* crystal system: triclinic



Here is a relaxed structure of NaCoH3C3O6 from the Materials Project database. Energies are from GGA+U.

Unit cell a=12.873 b=9.113 c=9.072 alpha=90.00 beta=134.53 gamma=90.00
Space group C2 (No. 5)
One atom of each set of equivalent atoms:
Na: 0.089 0.000 0.433 [4 per cell]
Co: 0.091 0.318 0.252 [4 per cell]
H: 0.000 0.442 0.500 [2 per cell]
H: 0.000 0.914 0.000 [2 per cell]
H: 0.012 0.670 0.761 [4 per cell]
H: 0.233 0.409 0.967 [4 per cell]
C: 0.000 0.036 0.000 [2 per cell]
C: 0.000 0.320 0.500 [2 per cell]
C: 0.109 0.654 0.360 [4 per cell]
C: 0.238 0.407 0.094 [4 per cell]
O: 0.033 0.255 0.414 [4 per cell]
O: 0.049 0.097 0.163 [4 per cell]
O: 0.121 0.366 0.044 [4 per cell]
O: 0.146 0.944 0.729 [4 per cell]
O: 0.159 0.530 0.370 [4 per cell]
O: 0.184 0.763 0.476 [4 per cell]

* crystal system: monoclinic



Here is a relaxed structure of Li3Fe2P4O14 from the Materials Project database. Energies are from GGA+U.

Unit cell a=9.841 b=9.852 c=11.226 alpha=90.01 beta=102.25 gamma=90.12
Space group P1 (No. 1)
One atom of each set of equivalent atoms:
Li: 0.000 0.000 0.000 [1 per cell]
Li: 0.002 0.277 0.958 [1 per cell]
Li: 0.010 0.619 0.421 [1 per cell]
Li: 0.189 0.828 0.481 [1 per cell]
Li: 0.251 0.115 0.491 [1 per cell]
Li: 0.416 0.631 0.895 [1 per cell]
Li: 0.484 0.947 0.004 [1 per cell]
Li: 0.516 0.339 0.424 [1 per cell]
Li: 0.692 0.122 0.481 [1 per cell]
Li: 0.721 0.507 0.906 [1 per cell]
Li: 0.749 0.817 0.494 [1 per cell]
Li: 0.777 0.806 0.997 [1 per cell]
Fe: 0.308 0.641 0.129 [1 per cell]
Fe: 0.349 0.431 0.627 [1 per cell]
Fe: 0.355 0.933 0.275 [1 per cell]
Fe: 0.397 0.151 0.789 [1 per cell]
Fe: 0.807 0.304 0.134 [1 per cell]
Fe: 0.847 0.503 0.619 [1 per cell]
Fe: 0.856 0.014 0.276 [1 per cell]
Fe: 0.904 0.793 0.776 [1 per cell]
P: 0.040 0.795 0.209 [1 per cell]
P: 0.078 0.274 0.697 [1 per cell]
P: 0.123 0.176 0.208 [1 per cell]
P: 0.162 0.647 0.690 [1 per cell]
P: 0.220 0.436 0.335 [1 per cell]